Parenting is HARD. Swim lessons are ESSENTIAL
For us parents, the difficult parenting decisions begin as soon as (and even before) our babies are born.
This pediatrician or that one? Disposable or cloth diapers? Formula or breast milk? Enroll in daycare or become a stay-at-home parent? This discipline strategy or that one? Public school or private school? And the list goes on.
Parenting is HARD.
As our children grow, we are faced with making decisions about many things that hadn't even crossed our minds. And now that they’re here, and in our daily care, the very thought of giving some thought to those un-thought thoughts is so overwhelming.
For many parents, swim lessons are one of those things.
That's where our team comes in to help.
Our team members have countless conversations with parents of all types. They never know how the conversations will go, but they do their very best to answer questions, provide information, educate and ensure they end on a positive note.
Some conversations are easy, and some are hard.
Many parents come to HSC already educated on the importance of swim lessons. These parents are committed to our mission before we've even had the chance to fully explain what it is. Some of these parents are swimmers who grew up taking lessons and swimming on swim teams. Some were swim instructors in their previous lives, and know just how vital learning to swim is.
Some come to us in search of a fun, positive activity for their children. They are looking for a place where their child can enjoy themselves while also learning a few new skills. Learning how to do butterfly or do a flip turn is the furthest thing from their minds.
Some come to us out of a place of tragedy and fear. They have experienced the very worst when it comes to the dangers associated with water. They have suffered the loss of a loved one or a friend and are committed to ensuring their child does not become another statistic.
Some conversations are easy. Some conversations are hard.
There’s no doubt that COVID-19 has completely changed almost every aspect of our lives. However, the pandemic hasn’t changed the drowning statistics. Drowning kills more children ages 1-4 than anything else except birth defects, according to the US Centers for Disease Control and Prevention.
Records of molecules from another source follow:
........
{"formula": "C41H78N4O11", "method": "the ωB97M-V functional and the def2-TZVPD basis", "energy_ha": -2655.462423, "de_lowest_kcal_mol": 0.00, "total_charge": 0, "gap_ev": 8.6, "lumo_energy_ev": 0.097, "fmax_ev_per_a": 2.09, "smiles": "[H]/N=C(\\C)Cc1c(N)c(CCOC(C)=O)c(N=C(C)C)c2c1C(=O)N(OC[C@H](C)O)C2=O.CCOCC.CCOCC.CCOCC.CCOCC.CCOCC", "species": ["O", "O", "O", "O", "O", "O", "O", "O", "O", "O", "O", "N", "N", "N", "N", "C", "C", "C", "C", "C", "C", "C", "C", "C", "C", "C", "C", "C", "C", "C", "C", "C", "C", "C", "C", "C", "C", "C", "C", "C", "C", "C", "C", "C", "C", "C", "C", "C", "C", "C", "C", "C", "C", "C", "C", "C", "H", "H", "H", "H", "H", "H", "H", "H", "H", "H", "H", "H", "H", "H", "H", "H", "H", "H", "H", "H", "H", "H", "H", "H", "H", "H", "H", "H", "H", "H", "H", "H", "H", "H", "H", "H", "H", "H", "H", "H", "H", "H", "H", "H", "H", "H", "H", "H", "H", "H", "H", "H", "H", "H", "H", "H", "H", "H", "H", "H", "H", "H", "H", "H", "H", "H", "H", "H", "H", "H", "H", "H", "H", "H", "H", "H", "H", "H"], "coordinates": [[3.5113, 0.3908, -7.7714], [2.9941, 1.3828, -0.7178], [3.7265, -2.9301, -0.8101], [-4.2789, 5.3033, -2.9495], [-2.8666, 8.5720, 1.8856], [5.2302, -7.1852, 7.1717], [-4.7559, -0.9681, -1.4992], [0.2914, 1.1516, -3.7521], [1.8546, -1.2985, -2.1960], [-6.5219, -2.1994, -2.0474], [2.0905, -7.2849, 1.7530], [-2.1764, -0.5562, -2.5430], [2.2411, 2.2336, 2.0413], [-1.1233, -1.0957, 2.2879], [2.0598, 0.0991, -2.5090], [-2.7751, 9.9787, 2.0159], [0.4877, -0.2055, 0.7614], [5.3110, -8.2156, 8.1387], [6.4155, -5.4650, 8.4668], [1.4720, -0.0708, 1.9040], [-2.7103, 7.8244, 3.0768], [-0.0822, 0.0250, -1.5703], [4.1165, -8.2677, 9.0765], [-2.6630, 0.6960, -4.5446], [2.1229, 0.6791, -1.1285], [0.8314, 0.1347, -0.5038], [2.6280, -9.3545, 0.5418], [-3.3159, 6.3394, -2.8566], [2.7127, -7.8388, 0.6089], [3.7080, 1.5435, -6.9703], [-2.5721, 0.5527, -3.0457], [-5.6281, 5.7147, -3.0659], [1.5321, 1.2114, -8.9751], [0.6659, 0.5175, -2.8033], [-3.0473, -1.4808, 0.1991], [-1.3387, -0.4550, -1.4039], [-1.4262, 10.4584, 2.5250], [3.0392, -3.3282, -1.9891], [2.9998, 1.4788, -5.6283], [-3.4895, 7.2268, -1.6361], [4.0842, -7.2723, 3.1926], [-3.7673, 8.1213, 4.1273], [2.1732, 0.1166, -8.1385], [-3.0212, 1.7592, -2.2605], [1.7337, -4.0173, -1.5740], [-6.1080, -1.1668, -1.5708], [5.1826, -5.8620, 7.6724], [0.3206, 1.7237, 3.4359], [-0.7963, -0.7179, 0.9338], [-1.6919, -0.8550, -0.1081], [2.6322, -7.6753, 3.0026], [-5.9113, 6.5324, -4.3146], [1.4134, 1.3578, 2.4256], [-7.0850, -0.0949, -1.1222], [-4.2882, -0.6766, -0.1747], [2.8016, -2.1146, -2.8809], [4.4044, -7.4767, 4.2157], [4.7842, 1.6106, -6.8057], [1.9914, -4.7130, -0.7687], [-5.4214, 7.5069, -4.2774], [3.2244, -9.8262, 1.3247], [-3.5877, 10.3593, 2.6448], [-3.0993, -2.4730, -0.2584], [0.8040, 2.1864, 4.2971], [1.5967, -9.6867, 0.6691], [3.6588, -4.0761, -2.4841], [-2.7856, 6.7769, 2.7818], [-0.6180, 10.0322, 1.9290], [2.0356, 3.1211, 2.5003], [-1.7035, 7.9626, 3.4867], [7.3218, -5.6726, 7.8965], [-3.7004, 0.7148, -4.8918], [6.2469, -8.1387, 8.7032], [4.0820, -7.3972, 9.7341], [-2.3476, 5.8407, -2.7986], [-5.5465, 6.0148, -5.2029], [4.7456, -7.8233, 2.5212], [-5.9426, 6.2552, -2.1661], [-7.3758, 0.4636, -2.0134], [1.9165, 1.5130, -5.7427], [2.9990, -9.7127, -0.4191], [-0.3586, 2.4705, 3.0202], [1.3838, 2.1250, -8.3967], [4.1677, -9.1566, 9.7061], [2.1639, 1.4613, -9.8287], [-6.5991, 0.5841, -0.4198], [-3.6656, 9.1318, 4.5269], [3.0919, -2.5145, -0.2190], [3.2443, 0.5527, -5.1075], [-4.7673, 8.0360, 3.6998], [-1.3672, 11.5460, 2.4740], [-6.9830, 6.7040, -4.4202], [6.4843, -6.0162, 9.4064], [-3.3055, 6.9356, -3.7757], [3.1847, -8.2886, 8.5096], [-2.3465, 2.0445, -1.4526], [3.4202, 2.4468, -7.5209], [-4.1688, 0.3932, 0.0121], [-3.1435, 2.6407, -2.8922], [-4.4006, 7.8247, -1.6994], [2.5040, -8.7529, 3.1550], [2.0223, -7.1797, 3.7586], [-1.2730, -2.0949, 2.3514], [-3.5550, 6.6256, -0.7286], [5.1006, -5.2166, 6.7971], [1.2747, -0.7522, 2.7264], [-5.0801, -0.9962, 0.5148], [2.2080, -0.8043, -8.7222], [4.2717, -5.7073, 8.2618], [0.5564, 0.8876, -9.3396], [2.1893, -7.4162, -0.2500], [-6.2168, 4.7968, -3.1003], [6.3848, -4.4019, 8.7073], [-2.6481, 7.9135, -1.5425], [-1.9524, -0.6031, 2.5917], [3.7525, -7.5007, 0.5376], [3.7576, -1.6064, -2.9982], [-0.2477, 0.8408, 3.7264], [1.5683, -0.0981, -7.2499], [2.3757, -2.4475, -3.8329], [1.3089, -4.6410, -2.3623], [-3.6785, 7.4248, 4.9617], [-4.0205, 1.5442, -1.8808], [-1.2595, 10.1653, 3.5630], [-2.0497, -0.0349, -5.0588], [5.3625, -9.1479, 7.5754], [4.2187, -6.2095, 2.9857], [3.2932, 2.3220, -5.0018], [0.9925, -3.3356, -1.1525], [-2.9410, 10.3804, 1.0156], [-7.9783, -0.5480, -0.7068], [-3.1199, -1.6525, 1.2698], [-2.2604, 1.6896, -4.7549], [2.4782, -0.1983, 1.5012]], "lowdin_charge": [-0.161, 0.172, -0.031, -0.176, -0.170, -0.170, -0.041, 0.158, -0.138, 0.118, -0.165, 0.177, 0.149, 0.076, 0.080, -0.282, -0.108, -0.282, -0.080, -0.075, -0.283, -0.030, -0.081, -0.027, -0.274, -0.031, -0.080, -0.278, -0.288, -0.279, -0.366, -0.284, -0.083, -0.261, -0.077, -0.166, -0.080, -0.394, -0.084, -0.078, -0.073, -0.081, -0.285, 0.000, -0.032, -0.507, -0.283, -0.040, -0.188, -0.074, -0.281, -0.080, -0.400, 0.018, -0.177, -0.125, 0.069, 0.116, 0.075, 0.067, 0.066, 0.108, 0.144, 0.077, 0.082, 0.146, 0.116, 0.083, 0.056, 0.108, 0.083, 0.087, 0.108, 0.066, 0.117, 0.082, 0.067, 0.108, 0.094, 0.051, 0.076, 0.078, 0.065, 0.076, 0.081, 0.074, 0.066, 0.080, 0.070, 0.082, 0.076, 0.076, 0.066, 0.108, 0.081, 0.093, 0.106, 0.121, 0.072, 0.068, 0.107, 0.116, 0.098, 0.080, 0.117, 0.111, 0.127, 0.116, 0.107, 0.074, 0.110, 0.115, 0.076, 0.078, 0.087, 0.109, 0.133, 0.051, 0.106, 0.133, 0.085, 0.076, 0.074, 0.066, 0.079, 0.117, 0.083, 0.083, 0.077, 0.117, 0.090, 0.096, 0.079, 0.117]}
........
53 children have drowned in Texas so far this year.
We are committed to reducing that number.
Anxiety levels and feelings of uncertainty are currently at an all-time high. Our comfort zones and "normal" ways of life have been turned completely upside down. Believe me, our business feels it too. We sympathize wholeheartedly with the magnitude of it all, but are committed to moving forward. We are dedicated to putting one foot in front of the other, holding to our mission, and continuing to serve the Houston area families and team members who have helped our small, family-owned business grow to what it is today.
"As you can imagine, the original COVID shut down, and subsequent requirement to limit our enrollment has severely impacted us financially. We are trying to be smart about business to ensure we are around to keep doing what we are doing…making a difference in the constant epidemic of childhood drownings." -Dan Schoen, Owner of HSC Cypress and HSC Pearland
Even during such an unprecedented time, we are grateful to be open so that we can continue to provide a safe, positive, ESSENTIAL, lifesaving activity for Houston area children. HSC Katy parent, Kalin Nugent, had these words to share…
"When we saw how safe HSC's protocols were, we decided to re-enroll in lessons because we know that water safety is undoubtedly ESSENTIAL for our babies! The abilities our son has mastered in these few short weeks that we’ve been back are absolutely jaw dropping. We are so thankful to HSC for all that they do!"
The reality is that drownings don't happen only during the summer months. They don't happen only to toddlers who don’t yet know how to swim, yet sneak out the backdoor into an unsupervised yard.
Drownings can happen to any one of our families, at any given time. At a backyard pool party filled with adults fully capable of watching the swimmers in the pool. Or on a sandy beach filled with happy-go-lucky beachgoers building sandcastles and watching the waves roll in.
They can happen when the fall temperatures finally arrive and all the pool toys have been put away. They can happen to the parents who have added a second lock to their back door. They can happen to the dad who is an avid fisherman and a strong swimmer. They can happen to the mom who wholeheartedly believed it could never happen to her.
Drownings don't discriminate.
So, just because the summer months are behind us, we urge you not to put swim lessons on the back burner.
During "normal" times, the fall season brings the opportunity and excitement for other children's sports and activities. As parents, we long for the days when summer swim meets end and we can sit in the bleachers to watch a t-ball game without breaking a sweat. We drag our chairs and coolers to the sidelines of soccer games with our jackets and windbreakers tucked deep inside our sports mom bags. Maybe, just maybe, it will be cool enough to actually put it on. We enthusiastically enroll our kids for dance and piano classes begin with plans for recitals already on the horizon.
And, for many families, the fall season means that swim lessons get put on hold.
Well, if times were "normal" right now, we would (kind of) understand. We would expect the typical decrease in our enrollment and the lighter foot traffic in our facilities. We would accept the "slow season" and plug along while on the downside of this exhilarating roller coaster ride.
But things aren't "normal" right now.
One of the benefits to our swim school is that we teach our lessons in indoor, heated classrooms (read: pools). ALL. YEAR. LONG.
So, before you decide which activity to cancel, please give us a fair shot and consider why we SHOULDN'T be one of them.
And, before you decide which activity to begin this fall season, please give us a fair shot as to why we SHOULD be one of them.
When the I'll just wait til next summer to start lessons thought starts to creep into your mind, we hope you remember this post.
We know those thoughts of juggling all the schedules, figuring out all the things, and making the best (read: right) decisions for your babies, especially during a pandemic, is oh so daunting. It seems as though every decision we make for our children begins with a risk assessment strategy.
My point is this: If you're going to take a chance, then take a chance on us. We promise you won't be disappointed.
Parenting is HARD.
Swim lessons are ESSENTIAL.
We love your kids. We teach them lifesaving skills and so much more.
Ready to learn to swim this fall?
Between two parts of the entry: records of molecules
'''
DFT (the ωB97M-V functional and the def2-TZVPD basis) results for 2 unconnected molecules or ions with the total composition C2H6O at a distorted geometry.

The value obtained for the HOMO energy is -10.057 eV. The SMILES is C=C.O. For the molar mass, the calculation gives 46.07 g mol⁻¹. The value obtained for the HOMO-LUMO gap is 11.14 eV. As for the electronic energy: -4217.5811 eV. The calculation puts the relative energy (zero: lowest compared OMol25 entry of this formula, charge and spin) at 85.5 kJ/mol.

Each line ends with the Mulliken charge.
Geometry (Å):
1 O -5.15 2.01 2.72  -0.6234
2 H 2.89 0.15 -1.10  0.2351
3 C 3.39 -0.63 -1.62  -0.4636
4 H 3.41 -2.62 -2.30  0.2437
5 C 2.93 -1.91 -1.68  -0.4273
6 H 2.04 -2.18 -1.09  0.2085
7 H -4.97 1.63 1.86  0.3161
8 H -4.36 2.47 2.86  0.3074
9 H 4.30 -0.29 -2.18  0.2036

----------

C37H32BrCaClN5O5PS | ωB97M-V/def2-TZVPD

```
84
Properties=species:S:1:pos:R:3:forces:R:3
Ca -0.3179 0.8198 -0.2597 0.21 -0.35 -0.20
O -4.8852 -2.2048 2.5290 0.03 -0.09 0.07
C -3.7805 -2.5950 3.1355 -0.17 -0.05 0.01
O -3.7780 -3.4221 4.0180 0.03 0.06 -0.03
C -2.5048 -1.9668 2.6940 0.20 -0.03 0.21
C -1.3092 -2.1851 3.3508 -0.06 0.02 -0.08
N -0.3741 -1.4791 2.7002 0.00 0.10 0.00
N -0.8727 -0.8158 1.6507 0.06 0.02 -0.09
C -2.1681 -1.0959 1.6357 -0.19 -0.09 0.02
C -3.0171 -0.5294 0.5206 -0.12 -0.20 0.30
O -4.2478 -0.5805 0.6394 0.11 -0.03 -0.12
O -2.3584 -0.0738 -0.4502 -0.18 0.27 -0.29
H -4.6939 -1.5286 1.8077 -0.01 0.04 -0.02
H -1.0879 -2.7886 4.2138 -0.03 -0.01 0.01
H 0.6103 -1.4112 2.9039 -0.03 -0.02 0.00
Cl 2.0596 0.8012 -2.4320 0.04 -0.17 0.09
C 3.2473 -0.4835 -2.3245 -0.01 0.26 -0.12
C 4.4100 -0.3021 -3.0611 -0.03 -0.06 0.06
C 5.3886 -1.2802 -3.0346 0.01 0.02 -0.02
C 5.2021 -2.4288 -2.2778 0.02 -0.01 -0.01
C 4.0354 -2.5923 -1.5538 -0.10 0.02 0.03
C 3.0254 -1.6245 -1.5621 0.17 -0.18 0.07
P 1.4975 -1.8176 -0.5832 -0.21 0.41 -0.06
C 1.9852 -2.9772 0.7339 0.14 -0.05 0.00
C 2.7304 -2.4507 1.7929 0.00 0.02 -0.04
C 3.1113 -3.2536 2.8550 0.01 0.01 0.02
C 2.7407 -4.5928 2.8796 0.02 0.00 0.05
C 2.0042 -5.1229 1.8334 -0.02 -0.04 -0.02
C 1.6334 -4.3228 0.7600 -0.05 0.05 0.00
C 0.4216 -2.8021 -1.6686 0.03 -0.12 0.00
C 0.7505 -3.1378 -2.9783 -0.01 0.00 0.02
C -0.1784 -3.7808 -3.7879 0.00 -0.01 -0.02
C -1.4340 -4.0996 -3.2931 -0.01 -0.02 -0.02
C -1.7649 -3.7766 -1.9822 -0.03 -0.01 0.00
C -0.8455 -3.1262 -1.1777 0.00 0.00 0.00
H 4.5351 0.6012 -3.6411 0.01 0.00 -0.01
H 6.2980 -1.1406 -3.6036 0.00 0.00 0.00
H 5.9643 -3.1960 -2.2511 0.00 0.00 0.00
H 3.8925 -3.4869 -0.9607 0.01 -0.01 0.00
H 3.0126 -1.4028 1.7828 0.01 0.00 0.00
H 3.6922 -2.8329 3.6659 0.00 -0.01 0.00
H 3.0269 -5.2193 3.7141 0.00 0.00 0.00
H 1.7136 -6.1652 1.8466 0.00 0.00 0.01
H 1.0565 -4.7481 -0.0509 0.00 0.00 -0.01
H 1.7242 -2.8851 -3.3785 0.01 -0.01 0.01
H 0.0838 -4.0303 -4.8080 -0.01 0.00 0.00
H -2.1565 -4.5960 -3.9275 0.00 0.00 0.00
H -2.7458 -4.0135 -1.5912 0.00 0.00 0.00
H -1.1219 -2.8521 -0.1658 0.02 0.01 0.00
Br 2.2560 1.4368 1.4059 0.04 -0.03 0.06
'''
Written by Stephanie Burns, Site Director, Houston Swim Club Sharpstown